Gertrude Weaver of Arkansas died on April 6, 2015, at the age of 116 – just five days after being named the world's oldest person. In 1900, when Gertrude was two years old, the average life expectancy in America was 48 years. Today, people born in the most advanced countries are routinely living well into their 90s.
But can we live forever?
It’s not such a strange question when you consider how advances in medicine – antibiotics, new surgeries, prescription drugs – have continuously extended our lives.
And according to Dr. David Sinclair of Harvard’s genetics department, in light of recent medical breakthroughs, “There is no limit on human lifespan.”
Dr. Sinclair, along with colleagues at Harvard, MIT, Penn, Scripps, and Johns Hopkins, are working to develop a treatment that could be the first step toward a permanent cure for mankind’s most deadly disease: Aging.
After all, seven of the top ten causes of death in America are age-related. And you can trace the root cause of all of these conditions to one specific cellular defect.
As we age, cells die off and are replenished through cytokinesis. Cytokinesis is the process where cells repeatedly duplicate – they make copies of themselves.
• Here the piece breaks off for calculated crystals:
+++
# Sr2MnGe2O7

Crystalline Sr2MnGe2O7 at its relaxed geometry (GGA+U, Alexandria via LeMat-Bulk).

Computed properties:
total energy: -162.86 eV/cell
DOS(E_F): 0.00 states/eV/cell

abc: 8.3944 8.3944 5.3936
angles: 90.00 90.00 90.00
Last column: nearest neighbours and their distance in Å.
Positions (direct):
1 Sr 0.1670 0.3330 0.0057  8 O 2.59-2.88
2 Sr 0.3330 0.8330 0.9943  8 O 2.59-2.88
3 Sr 0.6670 0.1670 0.9943  8 O 2.59-2.88
4 Sr 0.8330 0.6670 0.0057  8 O 2.59-2.88
5 Mn 0.0000 0.0000 0.5000  4 O 2.06
6 Mn 0.5000 0.5000 0.5000  4 O 2.06
7 Ge 0.1409 0.6409 0.5572  4 O 1.74-1.82
8 Ge 0.3591 0.1409 0.4428  4 O 1.74-1.82
9 Ge 0.6409 0.8591 0.4428  4 O 1.74-1.82
10 Ge 0.8591 0.3591 0.5572  4 O 1.74-1.82
11 O 0.0000 0.5000 0.6910  2 Ge 1.82
12 O 0.0812 0.8158 0.7172  1 Ge 1.78
13 O 0.1390 0.6390 0.2345  1 Ge 1.74
14 O 0.1842 0.0812 0.2828  1 Ge 1.78
15 O 0.3158 0.5812 0.7172  1 Ge 1.78
16 O 0.3610 0.1390 0.7655  1 Ge 1.74
17 O 0.4188 0.3158 0.2828  1 Ge 1.78
18 O 0.5000 0.0000 0.3090  2 Ge 1.82
19 O 0.5812 0.6842 0.2828  1 Ge 1.78
20 O 0.6390 0.8610 0.7655  1 Ge 1.74
21 O 0.6842 0.4188 0.7172  1 Ge 1.78
22 O 0.8158 0.9188 0.2828  1 Ge 1.78
23 O 0.8610 0.3610 0.2345  1 Ge 1.74
24 O 0.9188 0.1842 0.7172  1 Ge 1.78
+++
Here’s the problem: Every time your cells duplicate, the protective “caps” at the end of each strand of your DNA, called telomeres, shrink. So over the years, with each successive copy, the telomeres keep shrinking, the DNA gets more exposed – and your cells become less and less accurate copies of themselves.
The gradual deterioration of these telomeres is the primary reason we get weaker and sicker over time, and why aging eventually kills us.
But what if the breakdown of telomeres can be slowed – or even reversed?
Scientists have identified at least nine species that have a naturally occurring “immortality gene.” These specimens, including lobster, bacteria, and certain types of jellyfish, are capable of cellular regeneration indefinitely.
“Immortality might be much more common than we think,” said Dr. Kevin Peterson, a molecular biologist at Dartmouth.
That’s because the “immortality gene” is present in human DNA…
It all started when Dr. Carol Grieder and Dr. Elizabeth Blackburn, biologists at UC Berkeley, showed that an “immortality gene” creates a protein that prevents the deterioration of telomeres during cytokinesis.
The implications of this discovery for human aging were huge. It won Drs. Grieder and Blackburn the Nobel Prize in medicine in 2009.
The text is interrupted by calculated crystals:
____________
1.
Material: KSiNi2
Method: DFT, PBE-GGA
State: relaxed

Results
- Uncorrected formation energy: 0.369 eV/atom
- DOS(E_F): 1.65 states/eV/f.u.
- Space group: Immm (71)
- Total magnetization: 0.0 Bohr magnetons per cell
- Calculated total energy: -4.152 eV per atom

Lattice parameters (Å, degrees): 5.3105 5.3105 5.3105 141.77 114.07 78.85
Fractional positions:
K1 0.2500 0.7500 0.5000
Ni1 0.5879 0.5879 0.0000
Ni2 0.9121 0.9121 0.0000
Si1 0.7500 0.2500 0.5000



2.
Material: LiGaS2O8
Method: DFT, PBE-GGA
State: relaxed

Results
- Uncorrected formation energy: -1.505 eV/atom
- DOS(E_F): 0.00 states/eV/f.u.
- Space group: P-3 (147)
- Total magnetization: 0.0 Bohr magnetons per cell
- Calculated total energy: -5.910 eV per atom

Lattice parameters (Å, degrees): 4.7840 4.7840 7.2804 90.00 90.00 120.00
Fractional positions:
O1 0.3333 0.6667 0.9358
O2 0.6476 0.7087 0.6669
O3 0.6667 0.3333 0.0642
O4 0.2913 0.9389 0.6669
O5 0.9389 0.6476 0.3331
O6 0.7087 0.0611 0.3331
O7 0.0611 0.3524 0.6669
O8 0.3524 0.2913 0.3331
S1 0.6667 0.3333 0.2637
S2 0.3333 0.6667 0.7363
Ga1 0.0000 0.0000 0.5000
Li1 0.0000 0.0000 0.0000



3.
Material: Zn3Hg2
Method: DFT, PBE-GGA
State: relaxed

Results
- Relative energy among the computed polymorphs: 0.023 eV per atom
- DOS(E_F): 1.85 states/eV/f.u.
- Space group: I4/mmm (139)
- Total magnetization: 0.0 Bohr magnetons per cell
- ΔE_f: 0.142 eV/atom
- Calculated total energy: -0.743 eV per atom

Lattice parameters (Å, degrees): 10.5166 10.5166 10.5166 163.34 163.34 23.64
Fractional positions:
Hg1 0.1036 0.1036 0.0000
Hg2 0.8964 0.8964 0.0000
Zn1 0.5000 0.5000 0.0000
Zn2 0.7098 0.7098 0.0000
Zn3 0.2902 0.2902 0.0000



4.
Material: Li12SnPd7
Method: DFT, PBE-GGA
State: relaxed

Results
- DOS(E_F): 8.68 states/eV/f.u.
- Space group: R-3m (166)
- Total magnetization: 0.0 Bohr magnetons per cell
- ΔE_f: -0.340 eV/atom
- Calculated total energy: -3.506 eV per atom

Lattice parameters (Å, degrees): 6.8892 6.8892 6.8892 103.05 103.05 103.05
Fractional positions:
Sn1 0.0000 0.0000 0.0000
Pd1 0.1554 0.1559 0.4292
Pd2 0.8441 0.5708 0.8446
Pd3 0.1559 0.4292 0.1554
Pd4 0.5708 0.8446 0.8441
Pd5 0.5000 0.5000 0.5000
Pd6 0.8446 0.8441 0.5708
Pd7 0.4292 0.1554 0.1559
Li1 0.5824 0.1821 0.5829
Li2 0.4176 0.8179 0.4171
Li3 0.1821 0.5829 0.5824
Li4 0.9996 0.2597 0.7402
Li5 0.7403 0.2598 0.0004
Li6 0.5829 0.5824 0.1821
Li7 0.4171 0.4176 0.8179
Li8 0.2597 0.7402 0.9996
Li9 0.7402 0.9996 0.2597
Li10 0.8179 0.4171 0.4176
Li11 0.2598 0.0004 0.7403
Li12 0.0004 0.7403 0.2598

=====

Entry 1:
VASP calculation (PBE-GGA) on an optimized crystal structure of SmTm3Mg6.

a b c (Å): 9.2107 5.2638 11.2197
angles (deg): 90.00 105.91 90.00
Last column: nearest neighbours and their distance in Å.
Positions (direct):
Sm  0.0533  0.2500  0.3962  8 Mg 3.21-3.34
Sm  0.9467  0.7500  0.6038  8 Mg 3.21-3.34
Tm  0.2523  0.2500  0.9970  8 Mg 3.18-3.28
Tm  0.3516  0.7500  0.7992  8 Mg 3.23-3.32
Tm  0.4544  0.2500  0.6028  8 Mg 3.19-3.33
Tm  0.5456  0.7500  0.3972  8 Mg 3.19-3.33
____________
At Harvard Medical School, geneticist Dr. Ronald DePinho led a team investigating those implications in a study using mice. The normal lifespan of a mouse is 2 years. But with telomerase switched on – in other words, with the immortality gene switched on – they lived 40% longer.
That’s the equivalent of adding an additional 32 years to your life. They described what they saw as an “unprecedented reversal of age-related decline.”
And now, after decades of experimentation and recent clinical trials, doctors have developed a safe and effective treatment that could allow us the switch on the human immortality gene. The New York Times described this breakthrough therapy as “The biggest change in our understanding of biology since the discovery of the double helix.”
Continue here to get “Unlocking the Immortality Gene,” our in-depth report on this game-changing new treatment.